(Late) Tuesday Focus: Responses to Ezra Klein's Worries About Over Focus on Inequality, and Ezra Klein's Response...
Things You Should Read on the Evening of December 17, 2013

Let Me 110% Endorse Antonio Fatas's Mini-Macroeconomic Manifesto...

Antonio Fatas: Four missing ingredients in macroeconomic models:

oI would like to go further and add a few items to their list that I wished could become part of the mainstream modeling in economics. In random order:

  1. The business cycle is not symmetric....
  2. As much as the NBER methodology emphasizes the notion of recessions (which, by the way, are asymmetric in nature), most academic research is produced around models where small and frequent shocks drive economic fluctuations, as opposed to large and infrequent events. The disconnect comes probably from the fact that it is so much easier to write models with small and frequent shocks than having to define a (stochastic?) process for large events. It gets even worse if one thinks that recessions are caused by the dynamics generated during expansions. Most economic models rely on unexpected events to generate crisis, and not on the internal dynamics that precede the crisis....
  3. There has to be more than price rigidity.... Price rigidities are important and they help us understand some of the features of the business cycle. But there must be more than that. There are other frictions.... They might not be easy to measure or model, they might be different across different economies but it is difficult to imagine that an adjustment of prices and wages to their optimal level would automatically restore full employment....
  4. The notion that co-ordination across economic agents matters to explain the dynamics of business cycles receives very limited attention in academic research....

I am aware that they are plenty of papers that deal with these four issues, some of them published in the best academic journals. But most of these papers are not mainstream. Most economists are sympathetic to these assumption but avoid writing papers using them because they are afraid they will be told that their assumptions are ad-hoc and that the model does not have enough micro foundations (for the best criticism of this argument, read the latest post of Simon Wren-Lewis). Time for a change?

As I say over and over again, forcing your model to have microfoundations when they are the wrong microfoundations is not a progressive but rather a degenerative research program. Consider building a model in which money has value because people only live for two periods and all people "born" in any given period are identical and so do not trade and so if there is to be trade at all you have to sell to the old when you are young--but they will be gone when you want to buy--and buy from the young when you are old--but they weren't there to sell to. Back when I was 20 Tom Sargent--a very smart man, and a very good economist--told me that these OLG models of money were much better than models in which money was assumed to be an argument of the utility function along with your consumption of the representative good (with handwaving about how there are actually many goods, and money allows you to buy the ones you really want most) or models in which money was assumed to be an argument of the production function (with handwaving about how there wasn't really a representative firm, and using money allowed a more fine-grained and thus more efficient division of labor).

As I have said before, I didn't understand that then. Yes, it seemed to me that handwaving was not good. But saying something precise and false--that we held money because it was the only store of value in a life-cycle context, and intergenerational trade was really important--seemed to me to be vastly inferior to saying something handwavey but true--that holding money allows us to transact not just with those we trust to make good on their vowels but with those whom we do not so trust, and that as a result we can have a very fine-grained and hence very productive division of labor.

Still don't understand why OLG models of money are terribly interesting, I must say...

These calculated molecules were left in the piece by mistake:
~~~
[1]
39
Properties=species:S:1:pos:R:3:lowdin_charge:R:1 method="wB97M-V/def2-TZVPD" e_tot_ha=-585.9413 e_homo_ha=-0.3244 homo_lumo_gap_ev=9.695 smiles="CC1(C)C=C[C@@]23CCC[C@@](C)(CC[C@@H]12)C3"
C -1.41784 -1.27200 -1.54302 -0.161
C -1.00321 0.88439 0.75508 -0.121
C -0.43037 -1.50600 2.65518 -0.040
C -1.24177 0.02653 -2.38923 -0.153
C 0.73825 -0.67334 2.12004 -0.502
C -0.08940 -1.63211 -0.85429 -0.113
C -0.31596 2.27406 -2.84314 -0.057
C 1.23257 0.12456 3.34354 -0.053
C 1.88114 -1.47000 1.54920 -0.019
C 0.95827 0.64504 -1.42659 -0.067
C 0.40488 0.28136 0.93795 -0.212
C -0.45492 1.17821 -1.76461 -0.501
C 2.00193 -1.23042 0.19473 -0.014
C 0.81749 -0.45450 -0.33438 -0.378
C -1.18497 1.75936 -0.51728 -0.103
H 1.65697 1.46176 -1.06211 0.145
H -0.27137 -2.35928 -0.05606 0.104
H -0.71434 -0.28022 -3.31502 0.124
H -2.23730 -1.18441 -0.81679 0.099
H 0.48841 -2.16730 -1.60297 0.115
H 1.45539 0.14092 -2.26944 0.126
H -2.26020 1.83246 -0.76861 0.125
H 0.20987 1.94795 -3.74425 0.083
H -1.68175 -2.05925 -2.25883 0.107
H 2.59006 -2.05856 2.16295 0.121
H 2.86667 -1.60357 -0.38434 0.118
H -1.73465 0.09337 0.67953 0.089
H 0.20378 3.11597 -2.41082 0.070
H -1.23269 1.46099 1.64418 0.111
H 0.48247 0.85574 3.69578 0.093
H -0.79327 2.74889 -0.26180 0.115
H -0.91941 -2.11893 1.89392 0.073
H -0.01577 -2.20184 3.35726 0.073
H -2.22726 0.39919 -2.66749 0.112
H -1.18076 -0.90109 3.16700 0.087
H 1.05088 1.14825 1.08224 0.144
H 1.58614 -0.53629 4.14122 0.084
H 2.11863 0.66958 3.04634 0.076
H -1.33657 2.66055 -3.13507 0.101


[2]
12
Properties=species:S:1:pos:R:3:lowdin_charge:R:1 method="wB97M-V/def2-TZVPD" e_tot_ha=-306.3204 e_homo_ha=-0.2849 homo_lumo_gap_ev=7.824
O 1.98656 1.02970 -0.10184 0.200
O -0.21916 -1.85321 -1.97080 -0.058
C 1.03390 0.36389 -0.08862 -0.235
C -0.25239 0.04409 0.33705 -0.222
C -0.64861 0.57994 1.71671 -0.075
C 0.32811 -0.78899 -2.14347 -0.198
H -0.46342 -1.02009 0.18225 0.106
H -1.73606 0.55331 1.80294 0.075
H -0.32391 1.61310 1.87820 0.079
H -0.24121 -0.02719 2.53714 0.082
H 0.94395 -0.68154 -3.08733 0.071
H -0.40775 0.18698 -1.06223 0.175


[3]
155
Properties=species:S:1:pos:R:3:lowdin_spin:R:1 method="wB97M-V/def2-TZVPD" e_tot_ha=-2750.8850 spin_multiplicity=2 e_homo_ha="-0.3583 / -0.3583" total_charge=+1 homo_lumo_gap_ev="6.715 / 4.744"
Na -1.67018 -3.35680 -3.10913 -0.002
O -1.07274 -2.77606 -0.47106 0.860
O -6.65500 -0.12452 0.11119 0.000
O -2.78513 0.97331 5.59903 0.000
O 3.38307 -2.99137 -4.46557 0.000
O 1.95597 3.25023 2.20790 0.000
O -4.37883 4.80044 -0.72112 0.000
O -1.10489 -4.01546 2.34266 0.000
O 1.74508 -5.08494 2.06834 0.000
O -2.52236 -1.24998 -3.80800 0.000
N 3.22545 3.14072 1.59650 0.000
N 1.23494 -7.76427 1.58010 0.000
N 0.31756 -1.68908 -4.53622 0.000
N -3.18135 4.76548 -1.34898 0.000
N -4.26050 -2.83194 -0.06386 0.006
N 2.74324 -4.42841 -1.12117 0.001
C 4.56556 2.06045 -0.10573 0.000
C 2.20036 2.15996 -0.42300 0.000
C -1.86323 1.54823 3.56327 0.000
C 2.67856 -2.06188 -1.67489 0.000
C 3.06100 -8.40610 3.14402 0.000
~~~
End of the calculated molecules:

Yes, we do need more than 100 flowers. Yes, supply shocks sometimes play a very important role in generating what we call business cycles--cf., 1970s. But more than trying to construct big models built on fake foundations, it would be good to focus more energy on Antonio's four--asymmetry, a world in which big shocks and the fear of big shocks have important consequences, other macroeconomically-relevant frictions besides price and wage rigidites, and coordination failures...
